Prior to Dr. Gardner’s writings about “Parental Alienation,” other scholars noted similar phenomena. Author Wilhelm Reich in his 1949 book, Character Analysis, discussed narcissistic parents who defamed their ex-spouses to win child custody negotiation battles. Writing about alienation in the mid-1980’s, around the time when Dr. Gardner first began discussing it, Dr. Anita Lampel suggested that: “The quality of the child’s rejection of the nonresidential parent differs from the child’s reaction to clearly dysfunctional parents in at least two ways: the rejection is not based upon objectively noted parental dysfunction such as abuse, alcoholism, neglect, or mental disturbance; the child lacks the conscious ambivalent feelings normally seen in a child raised by dysfunctional parents.” She also cited the work of scholars Wallerstein and Kelly, who in 1980 “observed that latency-age children exhibited these symptoms and that symptoms frequently eased with independence of judgment which adolescence brought.”
Salvador Minuchin in 1974 came up with a concept called the “cross-generational coalition” and described a similar kind of unholy alliance. In 1977, Jay Haley described a “perverse triangle” that pits two members of a family against another.
Given this historical background, you might think that psychologists, lawyers and children’s rights advocates would all be able to come together to form generally agreed-upon definition of this issue. However, the definition of Parental Alienation and its potential remedies have sparked a surprisingly vitriolic debate. Why? And what does this debate mean for your case?
Among other things, skeptics have criticized:
Next to the entry, the page also holds materials data:
<<<
Starting from a cell relaxed with GGA-PBE, the X-ray diffraction stick pattern of Li2PrP2 was simulated for Cu Kα, 1.54184 Å.
Peak positions follow from Bragg's law for the DFT cell and can differ from measured ones.

Top 10 peaks for 2θ = 10–90°, by intensity:
2theta	d (Å)	I/Imax	index
27.77	3.213	100.0	1 0 1
12.92	6.850	78.2	0 0 1
36.02	2.494	64.4	1 0 2
24.47	3.638	32.0	1 0 0
43.07	2.100	29.3	1 1 0
46.98	1.934	23.5	0 1 3
45.15	2.008	21.2	1 1 1
52.02	1.758	17.2	0 2 1
57.36	1.606	16.4	0 2 2
74.34	1.276	15.2	2 1 2

Structural model:
abc: 4.2006 4.2006 6.8500
angles: 90.00 90.00 120.00
Space group P-3m1 (No. 164)
Inequivalent atoms, fractional coordinates:
Li1 0.3333 0.6667 0.3756 [2 per cell]
Pr1 0.0000 0.0000 0.0000 [1 per cell]
P1 0.3333 0.6667 0.7546 [2 per cell]

----------

Diffraction record for TbGe2Pd4. The PXRD pattern is simulated, not measured: it uses the GGA-PBE geometry in Alexandria and Cu Kα (λ = 1.5418 Å).
Peak positions follow from Bragg's law for the DFT cell and can differ from measured ones.

The 10 most intense peaks (10 to 80 degrees two-theta), sorted by position:
| 2theta | I_rel | index |
| --- | --- | --- |
| 34.51 | 12.2 | 1 1 2 |
| 35.72 | 100.0 | 2 1 2 |
| 36.27 | 56.5 | 5 1 1 |
| 37.97 | 27.8 | 6 1 0 |
| 39.12 | 31.1 | 7 0 1 |
| 42.75 | 42.9 | 0 2 0 |
| 43.42 | 18.7 | 3 0 3 |
| 59.32 | 18.2 | 7 2 1 |
| 68.34 | 17.6 | 9 1 3 |
| 69.37 | 13.5 | 12 1 0 |

Atomic structure:
```
data_TbGe2Pd4
_cell_length_a 17.1606
_cell_length_b 4.2306
_cell_length_c 6.7110
_cell_angle_alpha 90.00
_cell_angle_beta 90.00
_cell_angle_gamma 90.00
_symmetry_space_group_name_H-M 'P n m a'
_symmetry_Int_Tables_number 62
loop_
_symmetry_equiv_pos_as_xyz
'x,y,z'
'-x,-y,-z'
'-x+1/2,-y,z+1/2'
'x+1/2,y,-z+1/2'
'x+1/2,-y+1/2,-z+1/2'
'-x+1/2,y+1/2,z+1/2'
'-x,y+1/2,-z'
'x,-y+1/2,z'
loop_
_atom_site_label
_atom_site_type_symbol
_atom_site_fract_x
_atom_site_fract_y
_atom_site_fract_z
Tb1 Tb 0.1398 0.2500 0.0079
Ge1 Ge 0.0434 0.7500 0.2631
Ge2 Ge 0.2207 0.2500 0.5116
Pd1 Pd 0.0260 0.7500 0.8597
Pd2 Pd 0.0734 0.2500 0.5069
Pd3 Pd 0.1891 0.7500 0.7190
Pd4 Pd 0.1903 0.7500 0.3032
```

***

Diffraction record for Tb6PrHg2. The PXRD pattern is simulated, not measured: it uses the GGA-PBE geometry in Alexandria and Cu Kα (λ = 1.5418 Å).
Peak positions follow from Bragg's law for the DFT cell and can differ from measured ones.

The 10 most intense peaks (10 to 80 degrees two-theta), sorted by position:
| 2theta | I_rel | index |
| --- | --- | --- |
| 31.58 | 50.5 | 4 0 -3 |
| 31.66 | 49.0 | 2 0 3 |
| 32.62 | 96.1 | 3 1 0 |
| 32.75 | 100.0 | 1 1 -3 |
| 45.13 | 13.5 | 6 0 0 |
| 45.53 | 16.5 | 2 0 -6 |
| 48.44 | 19.3 | 0 2 0 |
| 56.87 | 25.8 | 5 1 3 |
| 57.12 | 30.3 | 1 1 6 |
| 59.01 | 34.6 | 2 2 3 |

Atomic structure:
```
data_Tb6PrHg2
_cell_length_a 12.7042
_cell_length_b 3.7584
_cell_length_c 11.9549
_cell_angle_alpha 90.00
_cell_angle_beta 108.42
_cell_angle_gamma 90.00
_symmetry_space_group_name_H-M 'C 1 2/m 1'
_symmetry_Int_Tables_number 12
loop_
>>>
The entry goes on:
- Dr. Gardner’s scholarship;
- The relatively limited amount of quality academic scholarship on PA;
- The fact that, as Barbara Jo Fidler and Nicholas Bala put it in their article Children Resisting Post-separation Contact with a Parent: Concepts, Controversies and Conundrums, “There are no reliable statistics [regarding] the prevalence of alienation.”
Unrelated to this page: records of crystals
1.
Structure and calculated X-ray diffraction stick pattern of Na2Lu2B2TeO10 (a cell relaxed with GGA-PBE; Cu Kα).

Main lines, in order of falling intensity (2θ from 10° to 80°):
| hkl | 2θ/deg | d (Å) | intensity |
| --- | --- | --- | --- |
| 1 0 0 | 14.45 | 6.129 | 100 |
| 0 3 1 | 30.42 | 2.938 | 64 |
| 1 1 0 | 17.03 | 5.208 | 42 |
| 0 0 2 | 27.40 | 3.255 | 40 |
| 2 1 0 | 30.55 | 2.927 | 39 |
| 1 3 -1 | 32.37 | 2.766 | 38 |
| 1 3 1 | 35.26 | 2.545 | 28 |
| 1 0 -2 | 27.86 | 3.202 | 27 |
| 2 2 -1 | 34.46 | 2.603 | 23 |
| 0 3 3 | 50.36 | 1.812 | 21 |

Crystal structure
a = 6.304 Å, b = 9.878 Å, c = 6.697 Å
α = 90.00°, β = 103.53°, γ = 90.00°
Atoms (fractional coordinates):
Na: 0.083 0.111 0.168
Na: 0.083 0.389 0.668
Na: 0.917 0.611 0.332
Na: 0.917 0.889 0.832
Lu: 0.373 0.665 0.977
Lu: 0.373 0.835 0.477
Lu: 0.627 0.165 0.523
Lu: 0.627 0.335 0.023
B: 0.162 0.100 0.626
B: 0.162 0.400 0.126
B: 0.838 0.600 0.874
B: 0.838 0.900 0.374
Te: 0.500 0.000 0.000
Te: 0.500 0.500 0.500
O: 0.025 0.670 0.949
O: 0.025 0.830 0.449
O: 0.208 0.066 0.838
O: 0.208 0.434 0.338
O: 0.305 0.062 0.508
O: 0.305 0.438 0.008
O: 0.335 0.617 0.638
O: 0.335 0.883 0.138
O: 0.500 0.153 0.181
O: 0.500 0.347 0.681
O: 0.500 0.653 0.319
O: 0.500 0.847 0.819
O: 0.665 0.117 0.862
O: 0.665 0.383 0.362
O: 0.695 0.562 0.992
O: 0.695 0.938 0.492
O: 0.792 0.566 0.662
O: 0.792 0.934 0.162
O: 0.975 0.170 0.551
O: 0.975 0.330 0.051

2.
Structure and calculated X-ray diffraction stick pattern of Lu3Ni7B2 (a cell relaxed with GGA-PBE; Cu Kα).

Main lines, in order of falling intensity (2θ from 10° to 80°):
| hkl | 2θ/deg | d (Å) | intensity |
| --- | --- | --- | --- |
| 1 0 5 | 38.04 | 2.365 | 100 |
| 1 1 4 | 44.49 | 2.037 | 87 |
| 2 0 1 | 42.38 | 2.133 | 64 |
| 1 1 0 | 36.05 | 2.491 | 49 |
| 0 0 10 | 66.13 | 1.413 | 45 |
| 2 0 9 | 74.74 | 1.270 | 28 |
| 2 2 0 | 76.47 | 1.246 | 23 |
| 2 0 0 | 41.87 | 2.158 | 22 |
| 3 0 4 | 70.71 | 1.332 | 21 |
| 1 0 4 | 32.75 | 2.735 | 21 |

Crystal structure
a = 4.983 Å, b = 4.983 Å, c = 14.141 Å
α = 90.00°, β = 90.00°, γ = 120.00°
Atoms (fractional coordinates):
Lu: 0.333 0.667 0.033
Lu: 0.333 0.667 0.250
Lu: 0.333 0.667 0.467
Lu: 0.667 0.333 0.533
Lu: 0.667 0.333 0.750
Lu: 0.667 0.333 0.967
Ni: 0.000 0.000 0.000
Ni: 0.000 0.000 0.500
Ni: 0.166 0.332 0.648
Ni: 0.166 0.332 0.852
Ni: 0.166 0.834 0.648
Ni: 0.166 0.834 0.852
Ni: 0.332 0.166 0.148
Ni: 0.332 0.166 0.352
Ni: 0.668 0.834 0.648
Ni: 0.668 0.834 0.852
Ni: 0.834 0.166 0.148
Ni: 0.834 0.166 0.352
Ni: 0.834 0.668 0.148
Ni: 0.834 0.668 0.352
B: 0.000 0.000 0.250
B: 0.000 0.000 0.750
B: 0.333 0.667 0.750
B: 0.667 0.333 0.250
- Johnson, Walters and Olesen 2005 found that many children exposed to behaviors of the type that Dr. Gardner and Warshak described do not become alienated, and even children who have been obviously abused and neglected by their parents often chose to remain in loving relationships with them.
However, the biggest controversy isn’t over the definition of PA or the science (or lack thereof) to support it but rather its highly charged gender politics. Here’s the issue. Either a mother or a father can be the instigating parent. In practice, though, mothers stand accused far more often. For instance, maybe the mother accuses the father of abuse and neglect, and the father counter-accuses the mother of alienation.
Truth be told, in many situations, both parents engage in wrongheaded or destructive behavior, so it can be hard to untangle the truth and repair the damage.
Thanks to this gender divide, though, many feminist groups, such as the National Organization of Women (NOW), have fought vigorously against including the disorder in the American Psychiatric Association Diagnostic and Statistical Manual of Mental Disorders (DSM), sparking counter-accusations among fathers’ rights groups that such stances are “anti-science and anti-father.”
The text is interrupted by crystal structures
____________
Starting from the PBE geometry in Alexandria, the powder X-ray diffraction pattern of K3CeU2O9 was computed for copper Kα.
Kinematic intensities with the Lorentz-polarization factor, no thermal factor.

Crystal structure
Unit cell a=6.1510 b=6.1510 c=7.5358 alpha=90.00 beta=90.00 gamma=120.00
Space group P-3m1 (No. 164)
Symmetry-distinct sites (fractional):
K1 0.0000 0.0000 0.0000 (multiplicity 1)
K2 0.3333 0.6667 0.6632 (multiplicity 2)
Ce1 0.0000 0.0000 0.5000 (multiplicity 1)
U1 0.3333 0.6667 0.1650 (multiplicity 2)
O1 0.0000 0.5000 0.0000 (multiplicity 3)
O2 0.1735 0.3470 0.3238 (multiplicity 6)

Largest 8 diffraction maxima, low angle first, 10° ≤ 2θ ≤ 90°:
20.42 deg, I 724, (1 0 1)
29.03 deg, I 1000, (1 1 0)
41.52 deg, I 316, (2 0 2)
46.69 deg, I 343, (2 1 1)
51.46 deg, I 418, (3 0 0)
60.17 deg, I 198, (2 2 0)
68.17 deg, I 187, (3 1 2)
83.08 deg, I 223, (4 1 0)
____________
The back and forth regarding the semantics of PA has lead to strange ambiguities. For instance, the 2013 version of the DSM (the DSM-5) does include a category called “child psychological abuse,” which refers to “non-accidental verbal or symbolic acts by a child’s parent or caregiver that result, or have reasonable potential to result, in significant psychological harm to the child.” This category does not, however, specifically define a term called “Parental Alienation” or “Parental Alienation Syndrome.”
For skillful, experienced assistance battling back against untrue allegations of child abuse or neglect, call the Williams Law Group, LLC immediately at (908) 810-1083.